Politics2020 Election


Warren's 'Excessive Lobbying Tax' Seeks To Rein In Corporate Influence

• Next to the entry, the page also holds records of molecules:
/*
(1)
*/
• Back to the entry:

Presidential candidate Elizabeth Warren wants to impose taxes of up to 75% on corporate lobbying.

Elizabeth Warren says corporations and lobbyists are rigging the political system. And now the Democratic presidential candidate wants an "excessive lobbying" tax to impose severe tax penalties on political activities of major companies.

The U.S. Senator is leading former Vice President Joe Biden in some recent polls and following second behind him in others. She has made curbing the influence of Wall Street lobbyists and corporate money a centerpiece of her campaign.

"Look, the right of every person in this country to petition their government does not protect a multi-billion dollar influence industry whose sole purpose is to undermine democracy and tilt every decision in favor of those who can pay. So let's shut this industry down and return our government to the people," Warren said.

But how she intends to do that is controversial and would likely provoke legal challenges if enacted.

On Wednesday, Warren proposed a 75% tax on corporate lobbying expenses by companies spending more than $5 million to influence the government. Here's how that would work based on this chart, produced by the Warren campaign.

The health insurer Blue Cross Blue Shield spent $233 million on lobbying between 2009 and last year, according to figures from the Center for Responsible Politics. Under Warren's plan, the company would have paid $163 million in taxes for that period. 

Comcast would have paid $105 million in lobbying taxes, Google nearly $95 million, and Exxon Mobil nearly $92 million.

Warren is proposing a 60% tax on companies spending more than $1 million on political influence and a 35% lobbying tax on those spending more than $500,000.

Legal observers say that's destined for challenge due to the Supreme Court's Citizens United ruling. The public policy firm Covington and Burling says such legislation "is extraordinarily likely to be struck down." 

And Delaney Marsco of the government watchdog Campaign Legal Center said: "For the First Amendment purposes, it doesn't matter whether or not you call it a tax ... It has to do with whether or not speech is burdened."

Undaunted, Warren is also pledging to restrict corporate lobbyists from going to work for the government. And she is promising to break up "big tech" firms Google, Amazon and Facebook, as she explains in this campaign video.

"Big tech spent almost $50 million in lobbying last year alone. Clearly they know they have a lot to lose if Washington starts putting the interests of consumers first. It's time to break up these big companies so they don't have so much power over everyone else."

She already has a foil in Facebook CEO Mark Zuckerberg. He was caught on video saying Facebook would prevail in a legal challenge, but that filing "a major lawsuit against our own government" would "suck" for Facebook.